Good Morning After only getting home minutes ago getting to work was hard today!! After waiting what seemed like an eternity for a bus, I sat down and got comfortable. While sitting being quiet & doing no harm to anyone, somebody had the cheek to ask if they could sit next ME!!!!!!!!!!!!!!!!! I just looked up and said 'There is absolutely no chance of me moving, so can you just fuck off'. They looked shocked, I was shocked but really there was no chance of me moving. Also on this hell of a journey some bloke had his dog with him & the little mutt never stopped whining while I was on the bus. I would just like to say to that dog owner when I stood on your animals paw and I said 'Sorry' what I meat was 'Sorry, I didn't mean to stand on your dogs paw, I would have preferred to have to stood on its head' Once the bus got into Newcastle I realised I couldn't be arsed with the metro & other commuters. So I went to the cash point to get some money for a taxi. I got to the cash points, where I was met with loads of fucking idiots just hanging around not using the spare cash point machines!!!!! So rather than hang around & join 'Idiots R US' I just walked up & used 1 of the available machines. While doing this somebody said 'Look at him pushing in!' I just turned and looked and said 'Your lucky I cant be arsed to choke slam you' I think now would be a good time to say that I have sympathy with anyone that has murdered someone while they were pissed & tired! If you have murdered someone while you were pissed & tired, I would be more than willing to send a letter to the Home secretary on your behalf & outline that you only killed because you were pissed & tired & that wasn't the real you.
/*
Diffraction record for Li2TlMoO4. The X-ray diffraction stick pattern is computed, not measured: it uses a crystal structure in Alexandria, relaxed with PBE+U and a wavelength of 1.5418 Å.
Peak positions follow from Bragg's law for the DFT cell and can differ from measured ones.

Main lines, low angle first (10 to 90 degrees two-theta):
| h k l | 2θ/deg | I (rel.) |
| --- | --- | --- |
| 1 0 1 | 19.8 | 15 |
| 1 1 0 | 22.9 | 100 |
| 1 1 2 | 32.6 | 86 |
| 1 0 3 | 38.5 | 19 |
| 2 0 2 | 40.2 | 34 |
| 2 2 0 | 46.8 | 14 |
| 2 2 2 | 52.7 | 26 |
| 2 0 4 | 58.2 | 40 |

Cell and atoms:
```
data_Li2TlMoO4
_chemical_formula_sum 'Li4 Tl2 Mo2 O8'
_symmetry_space_group_name_H-M 'I -4 2 m'
_symmetry_Int_Tables_number 121
_symmetry_space_group_name_Hall 'I -4 2'
_cell_length_a 5.495
_cell_length_b 5.495
_cell_length_c 7.750
_cell_angle_alpha 90.00
_cell_angle_beta 90.00
_cell_angle_gamma 90.00
loop_
_atom_site_label
_atom_site_fract_x
_atom_site_fract_y
_atom_site_fract_z
Li1 0.000 0.500 0.250
Tl1 0.000 0.000 0.000
Mo1 0.000 0.000 0.500
O1 0.188 0.188 0.652
```

=====

# 1
For KInW4O12, the GGA+U geometry in the Materials Project gives the computed powder diffraction line list in this record (Cu Ka).
Lines closer than 0.1° are merged.

Largest 6 diffraction maxima, sorted by position, 2θ from 10° to 90°:
| d (Å) | Position (°2θ) | Rel. int. | hkl |
| --- | --- | --- | --- |
| 3.955 | 22.48 | 37 | 2 0 0 |
| 3.933 | 22.61 | 36 | 0 2 0 |
| 3.860 | 23.04 | 35 | 0 0 2 |
| 2.789 | 32.10 | 54 | 2 2 0 |
| 2.758 | 32.46 | 100 | 0 2 2 |
| 1.602 | 57.53 | 23 | 2 4 2 |

Lattice parameters (Å, degrees): 7.909 7.867 7.720 90.00 90.00 90.00
Space group Amm2 (No. 38)
Unique sites:
K 0.000 0.000 0.000 [2 per cell]
In 0.500 0.000 0.527 [2 per cell]
W 0.249 0.249 0.760 [8 per cell]
O 0.000 0.211 0.275 [4 per cell]
O 0.212 0.000 0.708 [4 per cell]
O 0.258 0.206 0.009 [8 per cell]
O 0.311 0.000 0.322 [4 per cell]
O 0.500 0.196 0.726 [4 per cell]



# 2
For MnOF, the GGA+U geometry in the Materials Project gives the computed powder diffraction line list in this record (Cu Ka).
Lines closer than 0.1° are merged.

Largest 6 diffraction maxima, sorted by position, 2θ from 10° to 90°:
| d (Å) | Position (°2θ) | Rel. int. | hkl |
| --- | --- | --- | --- |
| 3.636 | 24.48 | 100 | 1 1 0 |
| 3.531 | 25.22 | 86 | 1 -1 0 |
| 3.002 | 29.76 | 85 | 1 1 2 |
| 2.946 | 30.35 | 79 | 1 1 -2 |
| 2.923 | 30.58 | 79 | 1 -1 2 |
| 2.907 | 30.76 | 83 | -1 1 2 |

Lattice parameters (Å, degrees): 4.597 5.723 10.336 89.34 89.03 88.27
Space group P1 (No. 1)
Unique sites:
Mn 0.000 0.000 0.000 [1 per cell]
Mn 0.004 0.299 0.243 [1 per cell]
Mn 0.013 0.308 0.747 [1 per cell]
Mn 0.033 0.978 0.502 [1 per cell]
Mn 0.503 0.500 0.975 [1 per cell]
Mn 0.507 0.802 0.229 [1 per cell]
Mn 0.513 0.809 0.730 [1 per cell]
Mn 0.535 0.531 0.474 [1 per cell]
O 0.213 0.037 0.160 [1 per cell]
O 0.214 0.269 0.911 [1 per cell]
O 0.231 0.043 0.661 [1 per cell]
O 0.298 0.762 0.393 [1 per cell]
O 0.713 0.767 0.064 [1 per cell]
*/
Re: Re: Good Morning No, but me personally I havent got a problem with honest commuters telling other commuters how they feel. If other people want to brand these 'HONEST' people as miserable cockney bastards thats there call.
Re: Re: Re: Good Morning spose that’s better than people using actions to let other know how they feel. Most people cant be arsed to mumble a word, just let their thoughts known by pushing people out the way/ putting bags on the seat next to them etc., I d rather someone told me to fuck off, than pushed me out the way not saying a word
Re: Re: Re: Re: Good Morning I lied I have been part of the London rush hour once.I walked up some stairs @ a tube station not realising that the stairs I was walking up were only for people walking down. At the time I was getting disgusting looks but I wasn't sure why, it was only once some Eric Bristow wannabee said 'WHAT THE FUCK ARE YOU DOING!!!!!!' while pointing @ a sign which explained the rules I realised my mistake.
[These data records were left in the entry by mistake]
____________
(1)
Structure and simulated powder diffractogram of Ca2La2Zn3 (a cell relaxed with GGA-PBE; Cu Kα (weighted mean of Kα1 and Kα2)).

Main lines, by angle (10° ≤ 2θ ≤ 90°):
h k l	2θ (°)	d_spacing	I (rel.)
0 0 3	10.42	8.493	60
1 0 4	24.03	3.703	16
0 1 5	26.25	3.395	29
1 1 0	34.12	2.628	100
0 1 8	34.37	2.609	94
1 1 3	35.77	2.511	20
2 0 8	49.21	1.852	33
3 0 0	61.08	1.517	18
1 2 8	61.24	1.514	34
1 0 16	61.71	1.503	14

Structural model:
```
data_Ca2La2Zn3
_chemical_formula_sum 'Ca6 La6 Zn9'
_space_group_name_H-M_alt 'R -3 m'
_space_group_IT_number 166
_space_group_name_Hall '-R 3 2"'
_cell_length_a 5.2559
_cell_length_b 5.2559
_cell_length_c 25.4784
_cell_angle_alpha 90.00
_cell_angle_beta 90.00
_cell_angle_gamma 120.00
loop_
_atom_site_label
_atom_site_type_symbol
_atom_site_fract_x
_atom_site_fract_y
_atom_site_fract_z
_atom_site_occupancy
Ca1 Ca 0.0000 0.0000 0.1274 1
La1 La 0.0000 0.0000 0.3797 1
Zn1 Zn 0.0000 0.0000 0.0000 1
Zn2 Zn 0.0000 0.0000 0.2539 1
```



(2)
Structure and simulated powder diffractogram of LaSi4Ni9 (a cell relaxed with GGA-PBE; Cu Kα (weighted mean of Kα1 and Kα2)).

Main lines, by angle (10° ≤ 2θ ≤ 90°):
h k l	2θ (°)	d_spacing	I (rel.)
0 0 4	31.20	2.867	19
1 1 4	35.22	2.548	15
2 2 2	35.90	2.502	21
3 1 0	36.12	2.487	16
2 0 4	38.88	2.317	22
3 1 2	39.50	2.281	100
2 1 5	47.32	1.921	39
3 2 3	48.03	1.894	34
4 1 1	48.39	1.881	22
4 2 0	52.01	1.758	14

Structural model:
```
data_LaSi4Ni9
_chemical_formula_sum 'La4 Si16 Ni36'
_space_group_name_H-M_alt 'I 4/m c m'
_space_group_IT_number 140
_space_group_name_Hall '-I 4 2c'
_cell_length_a 7.8638
_cell_length_b 7.8638
_cell_length_c 11.4683
_cell_angle_alpha 90.00
_cell_angle_beta 90.00
_cell_angle_gamma 90.00
loop_
_atom_site_label
_atom_site_type_symbol
_atom_site_fract_x
_atom_site_fract_y
_atom_site_fract_z
_atom_site_occupancy
La1 La 0.0000 0.0000 0.2500 1
Si1 Si 0.1702 0.3298 0.1172 1
Ni1 Ni 0.0000 0.5000 0.0000 1
Ni2 Ni 0.0687 0.2042 0.5000 1
Ni3 Ni 0.1309 0.3691 0.3151 1
```



(3)
Structure and simulated powder diffractogram of Cs4BrO (a cell relaxed with GGA-PBE; Cu Kα (weighted mean of Kα1 and Kα2)).

Main lines, by angle (10° ≤ 2θ ≤ 90°):
h k l	2θ (°)	d_spacing	I (rel.)
1 1 0	11.43	7.739	23
1 1 -1	12.45	7.108	43
2 0 0	21.11	4.209	29
0 4 1	22.03	4.035	52
2 0 -2	23.34	3.812	29
0 0 2	25.24	3.529	38
2 4 -1	25.81	3.452	100
3 1 0	32.23	2.778	20
2 4 1	34.96	2.567	24
2 4 -3	37.81	2.380	21

Structural model:
```
data_Cs4BrO
_chemical_formula_sum 'Cs16 Br4 O4'
_space_group_name_H-M_alt 'C 1 2/c 1'
_space_group_IT_number 15
_cell_length_a 9.7491
_cell_length_b 19.6703
_cell_length_c 8.1739
_cell_angle_alpha 90.00
_cell_angle_beta 120.30
_cell_angle_gamma 90.00
loop_
_space_group_symop_operation_xyz
'x,y,z'
'-x,-y,-z'
'-x,y,-z+1/2'
'x,-y,z+1/2'
'x+1/2,y+1/2,z'
'-x+1/2,-y+1/2,-z'
'-x+1/2,y+1/2,-z+1/2'
'x+1/2,-y+1/2,z+1/2'
loop_
_atom_site_label
_atom_site_type_symbol
_atom_site_fract_x
_atom_site_fract_y
_atom_site_fract_z
_atom_site_occupancy
Cs1 Cs 0.1920 0.0477 0.1563 1
____________
[Back to the entry]
Morning! I woke up this morning feeling as bad as I did towards the end of last night, my stomach was all over, it still isn't quite right! Needless to say, I'm not at work!
What comes next are crystal structures, not part of the article
____________
Structure and theoretical X-ray diffraction stick pattern of Sm11Dy4Y9 (a structure optimized by DFT (GGA-PBE); a wavelength of 1.5418 Å).

Most intense lines, 10 to 90 degrees two-theta, sorted by position:
Position (°2θ)	I_rel
29.72	95
29.99	35
30.90	36
31.90	24
32.18	99
32.29	100
33.98	29
49.69	29
59.00	31
60.65	20

Cell and atoms:
```
Sm11Dy4Y9
1.0
8.4684 -12.8020 0.0000
8.4684 12.8020 0.0000
0.0000 0.0000 3.6686
Sm Dy Y
11 4 9
direct
0.0000 0.0000 0.0000 Sm
0.0449 0.4070 0.0000 Sm
0.1600 0.8400 0.0000 Sm
0.2929 0.2929 0.0000 Sm
0.3682 0.6318 0.0000 Sm
0.4070 0.0449 0.0000 Sm
0.5930 0.9551 0.0000 Sm
0.6318 0.3682 0.0000 Sm
0.7071 0.7071 0.0000 Sm
0.8400 0.1600 0.0000 Sm
0.9551 0.5930 0.0000 Sm
0.2427 0.4453 0.5000 Dy
0.4453 0.2427 0.5000 Dy
0.5547 0.7573 0.5000 Dy
0.7573 0.5547 0.5000 Dy
0.0681 0.2141 0.5000 Y
0.1644 0.6311 0.5000 Y
0.2141 0.0681 0.5000 Y
0.3689 0.8356 0.5000 Y
0.5000 0.5000 0.5000 Y
0.6311 0.1644 0.5000 Y
0.7859 0.9319 0.5000 Y
0.8356 0.3689 0.5000 Y
0.9319 0.7859 0.5000 Y
```
____________
Is it me or is today shit? I've decided to sod sixth form and come home. Its just all shit. There's a shit vibe everywhere I go and its all just shit.